=====
Here is an isolated molecule of C25H27N3O4 from OMol25. Energies are from ωB97M-V with the def2-TZVPD basis set.

Summary:
Kohn-Sham gap (Ha): 0.3414
Total charge: 0
Highest occupied orbital energy (hartree): -0.3169
Energy above the lowest of the compared OMol25 structures with the same formula, charge and spin (eV): 1.389
SMILES: O=C(NCc1nc2ccccc2[nH]1)C1=C[C@@H](C2CC2)C[C@@H](OCc2ccc(CO)cc2)O1

Geometry (Å):
O  -2.585  0.678  0.538
C  -1.408  0.907  0.301
N  -0.436  0.842  1.230
C  -0.712  0.417  2.588
C  -0.943  -1.056  2.644
N  -0.130  -1.938  3.154
C  -0.727  -3.158  2.948
C  -0.302  -4.436  3.290
C  -1.122  -5.490  2.945
C  -2.334  -5.292  2.279
C  -2.773  -4.031  1.930
C  -1.956  -2.965  2.272
N  -2.062  -1.610  2.102
C  -0.923  1.307  -1.048
C  -1.763  1.612  -2.039
C  -1.289  2.089  -3.379
C  -2.143  3.244  -3.863
C  -3.427  2.969  -4.585
C  -2.253  3.524  -5.331
C  0.181  2.500  -3.258
C  0.948  1.437  -2.476
O  2.281  1.791  -2.403
C  3.148  0.762  -1.943
C  2.998  0.427  -0.481
C  2.812  -0.881  -0.058
C  2.750  -1.185  1.292
C  2.860  -0.184  2.246
C  2.882  -0.512  3.722
O  2.511  -1.818  4.041
C  2.998  1.134  1.821
C  3.076  1.436  0.475
O  0.440  1.308  -1.155
H  0.524  0.938  0.932
H  -1.616  0.935  2.928
H  0.132  0.684  3.222
H  0.634  -4.583  3.805
H  -0.825  -6.498  3.195
H  -2.941  -6.150  2.031
H  -3.709  -3.878  1.415
H  -2.765  -1.079  1.603
H  -2.823  1.554  -1.854
H  -1.380  1.269  -4.103
H  -2.127  4.097  -3.196
H  -4.272  3.614  -4.398
H  -3.700  1.939  -4.761
H  -2.288  4.552  -5.659
H  -1.730  2.871  -6.013
H  0.266  3.441  -2.712
H  0.645  2.625  -4.235
H  0.835  0.449  -2.971
H  4.152  1.154  -2.133
H  2.998  -0.141  -2.552
H  2.736  -1.676  -0.787
H  2.634  -2.208  1.616
H  3.913  -0.394  4.082
H  2.262  0.221  4.267
H  1.573  -1.946  3.777
H  3.072  1.925  2.554
H  3.200  2.458  0.149

* * * * *

# 1
{
  "formula": "C22H24N2O4",
  "method": "ωB97M-V/def2-TZVPD",
  "elements": ["H", "H", "H", "C", "C", "C", "H", "C", "C", "H", "C", "H", "O", "C", "N", "H", "H", "C", "C", "H", "H", "H", "O", "C", "C", "C", "O", "H", "C", "C", "C", "H", "H", "C", "C", "O", "C", "C", "H", "H", "H", "H", "H", "C", "N", "H", "H", "C", "H", "C", "H", "H"],
  "coordinates": [[-4.61015, -0.35911, 0.20316], [-1.23697, -0.68870, -1.22249], [2.49941, 0.98383, 1.91183], [3.81738, 3.14513, 2.31040], [3.21848, -0.62165, -0.98630], [-3.68441, 1.40497, -0.54598], [2.73822, 3.31271, 2.23555], [-2.56773, 2.23047, -0.50984], [-1.51245, 1.90492, 0.34477], [4.30622, 4.07316, 2.60196], [-3.73185, 0.26999, 0.24792], [-1.96882, -3.64294, -0.95384], [1.61285, -3.61007, -1.97399], [1.88344, -2.65116, -1.26734], [2.83962, -1.74705, -1.66887], [-4.36694, 3.94938, -1.58474], [-0.49782, -2.05821, -2.06504], [4.53996, 1.36958, -0.77812], [2.98256, 0.80093, 0.96545], [-3.56642, -1.93550, 1.69454], [-2.15878, -1.59696, -2.42527], [5.28511, 2.05400, -1.15049], [-0.64163, -2.14889, 2.77370], [4.18765, 0.25029, -1.48946], [-1.41859, -1.67876, -1.63348], [1.62965, -1.26266, 0.72947], [-2.40403, 3.36195, -1.25169], [-2.94942, -2.33779, -0.27629], [-3.43643, 3.74729, -2.12531], [2.61229, -0.34577, 0.25088], [3.93949, 1.65835, 0.45945], [0.10393, -4.12103, -0.20884], [1.17586, -1.07804, 1.69176], [0.19014, -3.29524, 0.50071], [-1.57703, 0.77881, 1.13432], [4.37321, 2.79686, 1.06500], [-2.68516, -0.06409, 1.09132], [-1.40167, -2.07347, 1.82262], [3.28572, -1.94457, -2.55721], [-4.52247, 1.62875, -1.18701], [4.65596, 0.03823, -2.43925], [-3.09230, 4.66363, -2.60229], [0.46018, -3.67934, 1.48928], [-1.93617, -2.62438, -0.55027], [-1.10611, -2.64212, 0.63294], [-0.65210, 2.55513, 0.36667], [-0.75824, 0.54069, 1.79603], [-2.71295, -1.30336, 1.94356], [-2.79744, -1.02245, 2.99705], [1.26057, -2.35216, 0.01934], [-3.61904, 2.98772, -2.89261], [4.01517, 2.37870, 3.06641]],
=====
It remains to work out how many lines further above have the word "occupied" in them; a number is enough.
1